== Entries ==
........
# 1
{"formula": "C23H22F5N5O2PtSe", "method": "the ωB97M-V functional and the def2-TZVPD basis", "de_lowest_ev": 0.417, "homo_ev": -0.45, "total_charge": -2, "multiplicity": 1, "orbital_gap_ev": 4.742, "mol_weight_g_mol": 769.49, "symbols": ["Pt", "C", "C", "C", "C", "C", "H", "H", "H", "H", "H", "H", "H", "H", "H", "H", "F", "C", "C", "F", "C", "F", "C", "Se", "C", "F", "C", "F", "O", "C", "O", "H", "C", "C", "N", "C", "C", "N", "C", "N", "N", "N", "C", "C", "C", "C", "C", "C", "H", "H", "H", "H", "H", "H", "H", "H", "H", "H", "H"], "positions_angstrom": [[-0.1029, 0.7026, 0.5343], [2.3462, -1.0016, 2.4907], [2.8156, -0.0777, 1.3607], [4.0582, -0.6997, 0.7048], [3.2077, 1.2916, 1.9408], [1.6997, 0.1551, 0.3514], [3.0731, -1.0299, 3.3118], [2.2027, -2.0147, 2.1073], [1.3924, -0.6473, 2.8747], [4.8421, -0.8761, 1.4505], [4.4646, -0.0363, -0.0637], [3.8077, -1.6574, 0.2410], [4.0783, 1.2014, 2.6020], [2.3717, 1.7025, 2.5028], [3.4516, 1.9847, 1.1323], [2.0991, 0.0239, -0.6689], [-2.1173, -1.0238, 7.5956], [-2.2713, -0.5703, 6.2949], [-3.1412, 0.6533, 6.0823], [-3.9291, 0.5509, 4.8957], [-1.6702, 0.7088, 5.7680], [-0.8782, 1.5120, 6.5540], [-1.1368, 0.4052, 4.4074], [-0.4262, 1.6230, 3.2853], [-1.4457, -0.9648, 4.1559], [-1.2161, -1.5869, 3.0046], [-2.0285, -1.5401, 5.2278], [-2.4641, -2.7886, 5.2846], [-2.2659, 3.0495, -1.5707], [-1.8906, 3.3628, -0.4286], [-1.0912, 2.7977, 0.3606], [-2.3377, 4.3047, -0.0013], [-1.9435, -0.1644, -2.1333], [-2.7093, 0.0050, -0.8765], [-2.2122, 0.1549, 0.3347], [-3.2699, 0.2709, 1.2053], [-4.4307, 0.2136, 0.5089], [-4.0714, 0.0373, -0.8188], [-4.9805, -0.0258, -1.9189], [-4.9946, 1.1726, -2.7232], [-4.9286, 1.0659, -4.0705], [-5.0447, 2.2257, -4.5947], [-5.1836, 3.1485, -3.5934], [-5.3502, 4.5342, -3.6363], [-5.4892, 5.1874, -2.4321], [-5.4672, 4.5003, -1.2081], [-5.3002, 3.1329, -1.1460], [-5.1572, 2.4742, -2.3632], [-0.9070, -0.3675, -1.8607], [-1.9661, 0.7773, -2.6822], [-2.3547, -0.9682, -2.7553], [-3.1265, 0.4132, 2.2638], [-5.4610, 0.2526, 0.8212], [-5.9730, -0.2134, -1.5033], [-4.7187, -0.8313, -2.6038], [-5.3537, 5.0611, -4.5810], [-5.6097, 6.2640, -2.4234], [-5.5700, 5.0583, -0.2868], [-5.2427, 2.6173, -0.1981]], "forces_ev_per_a": [[1.367, -0.423, -0.950], [0.018, 0.124, -0.038], [0.157, -0.052, 0.122], [-0.036, 0.041, 0.089], [-0.012, -0.148, -0.050], [-1.106, 0.225, -0.062], [0.048, -0.029, -0.037], [-0.044, -0.015, 0.039], [-0.044, -0.012, 0.020], [0.022, -0.029, -0.018], [-0.020, -0.017, -0.033], [0.003, 0.007, -0.035], [-0.008, -0.022, 0.013], [-0.012, 0.073, 0.001], [-0.008, 0.045, 0.028], [0.104, 0.055, 0.046], [0.105, -0.286, -0.024], [-0.326, 0.895, 0.322], [0.380, -0.361, -0.348], [-0.139, 0.024, 0.028], [-0.356, -0.405, 0.381], [0.080, 0.107, -0.044], [0.366, 1.572, -0.338], [-0.558, -0.758, 1.003], [0.073, -0.791, 0.220], [-0.072, -0.075, -0.260], [0.331, 0.566, -0.296], [-0.155, -0.348, -0.021], [0.051, -0.264, 0.012], [-0.064, 0.082, 0.162], [-0.189, -0.039, 0.085], [0.102, -0.049, -0.080], [-0.072, 0.079, -0.041], [0.091, 0.022, 0.302], [0.044, 0.074, -0.309], [-0.041, 0.157, -0.034], [-0.046, -0.098, 0.115], [-0.036, -0.064, 0.064], [0.045, -0.161, 0.084], [0.044, 0.127, -0.172], [-0.038, -0.068, 0.227], [0.077, -0.043, -0.369], [-0.077, -0.083, 0.614], [0.040, 0.074, 0.073], [-0.015, 0.172, -0.340], [-0.028, -0.422, 0.134], [-0.058, 0.322, 0.259], [-0.081, 0.078, -0.493], [-0.028, -0.012, 0.047], [0.032, 0.063, -0.061], [-0.001, 0.046, 0.050], [0.016, 0.010, 0.007], [0.018, 0.000, -0.016], [-0.007, 0.019, -0.063], [-0.033, 0.005, -0.006], [-0.006, 0.016, 0.002], [0.010, -0.006, -0.002], [0.040, 0.001, 0.006], [0.051, 0.000, -0.017]]}

# 2
........

== Job ==
Next, type out every line further up that contains the word "functional".

== Solution ==
{"formula": "C23H22F5N5O2PtSe", "method": "the ωB97M-V functional and the def2-TZVPD basis", "de_lowest_ev": 0.417, "homo_ev": -0.45, "total_charge": -2, "multiplicity": 1, "orbital_gap_ev": 4.742, "mol_weight_g_mol": 769.49, "symbols": ["Pt", "C", "C", "C", "C", "C", "H", "H", "H", "H", "H", "H", "H", "H", "H", "H", "F", "C", "C", "F", "C", "F", "C", "Se", "C", "F", "C", "F", "O", "C", "O", "H", "C", "C", "N", "C", "C", "N", "C", "N", "N", "N", "C", "C", "C", "C", "C", "C", "H", "H", "H", "H", "H", "H", "H", "H", "H", "H", "H"], "positions_angstrom": [[-0.1029, 0.7026, 0.5343], [2.3462, -1.0016, 2.4907], [2.8156, -0.0777, 1.3607], [4.0582, -0.6997, 0.7048], [3.2077, 1.2916, 1.9408], [1.6997, 0.1551, 0.3514], [3.0731, -1.0299, 3.3118], [2.2027, -2.0147, 2.1073], [1.3924, -0.6473, 2.8747], [4.8421, -0.8761, 1.4505], [4.4646, -0.0363, -0.0637], [3.8077, -1.6574, 0.2410], [4.0783, 1.2014, 2.6020], [2.3717, 1.7025, 2.5028], [3.4516, 1.9847, 1.1323], [2.0991, 0.0239, -0.6689], [-2.1173, -1.0238, 7.5956], [-2.2713, -0.5703, 6.2949], [-3.1412, 0.6533, 6.0823], [-3.9291, 0.5509, 4.8957], [-1.6702, 0.7088, 5.7680], [-0.8782, 1.5120, 6.5540], [-1.1368, 0.4052, 4.4074], [-0.4262, 1.6230, 3.2853], [-1.4457, -0.9648, 4.1559], [-1.2161, -1.5869, 3.0046], [-2.0285, -1.5401, 5.2278], [-2.4641, -2.7886, 5.2846], [-2.2659, 3.0495, -1.5707], [-1.8906, 3.3628, -0.4286], [-1.0912, 2.7977, 0.3606], [-2.3377, 4.3047, -0.0013], [-1.9435, -0.1644, -2.1333], [-2.7093, 0.0050, -0.8765], [-2.2122, 0.1549, 0.3347], [-3.2699, 0.2709, 1.2053], [-4.4307, 0.2136, 0.5089], [-4.0714, 0.0373, -0.8188], [-4.9805, -0.0258, -1.9189], [-4.9946, 1.1726, -2.7232], [-4.9286, 1.0659, -4.0705], [-5.0447, 2.2257, -4.5947], [-5.1836, 3.1485, -3.5934], [-5.3502, 4.5342, -3.6363], [-5.4892, 5.1874, -2.4321], [-5.4672, 4.5003, -1.2081], [-5.3002, 3.1329, -1.1460], [-5.1572, 2.4742, -2.3632], [-0.9070, -0.3675, -1.8607], [-1.9661, 0.7773, -2.6822], [-2.3547, -0.9682, -2.7553], [-3.1265, 0.4132, 2.2638], [-5.4610, 0.2526, 0.8212], [-5.9730, -0.2134, -1.5033], [-4.7187, -0.8313, -2.6038], [-5.3537, 5.0611, -4.5810], [-5.6097, 6.2640, -2.4234], [-5.5700, 5.0583, -0.2868], [-5.2427, 2.6173, -0.1981]], "forces_ev_per_a": [[1.367, -0.423, -0.950], [0.018, 0.124, -0.038], [0.157, -0.052, 0.122], [-0.036, 0.041, 0.089], [-0.012, -0.148, -0.050], [-1.106, 0.225, -0.062], [0.048, -0.029, -0.037], [-0.044, -0.015, 0.039], [-0.044, -0.012, 0.020], [0.022, -0.029, -0.018], [-0.020, -0.017, -0.033], [0.003, 0.007, -0.035], [-0.008, -0.022, 0.013], [-0.012, 0.073, 0.001], [-0.008, 0.045, 0.028], [0.104, 0.055, 0.046], [0.105, -0.286, -0.024], [-0.326, 0.895, 0.322], [0.380, -0.361, -0.348], [-0.139, 0.024, 0.028], [-0.356, -0.405, 0.381], [0.080, 0.107, -0.044], [0.366, 1.572, -0.338], [-0.558, -0.758, 1.003], [0.073, -0.791, 0.220], [-0.072, -0.075, -0.260], [0.331, 0.566, -0.296], [-0.155, -0.348, -0.021], [0.051, -0.264, 0.012], [-0.064, 0.082, 0.162], [-0.189, -0.039, 0.085], [0.102, -0.049, -0.080], [-0.072, 0.079, -0.041], [0.091, 0.022, 0.302], [0.044, 0.074, -0.309], [-0.041, 0.157, -0.034], [-0.046, -0.098, 0.115], [-0.036, -0.064, 0.064], [0.045, -0.161, 0.084], [0.044, 0.127, -0.172], [-0.038, -0.068, 0.227], [0.077, -0.043, -0.369], [-0.077, -0.083, 0.614], [0.040, 0.074, 0.073], [-0.015, 0.172, -0.340], [-0.028, -0.422, 0.134], [-0.058, 0.322, 0.259], [-0.081, 0.078, -0.493], [-0.028, -0.012, 0.047], [0.032, 0.063, -0.061], [-0.001, 0.046, 0.050], [0.016, 0.010, 0.007], [0.018, 0.000, -0.016], [-0.007, 0.019, -0.063], [-0.033, 0.005, -0.006], [-0.006, 0.016, 0.002], [0.010, -0.006, -0.002], [0.040, 0.001, 0.006], [0.051, 0.000, -0.017]]}